== Input ==
____________
1.
This record from OMol25 describes C5H6O as an isolated structure. The level of theory is ωB97M-V/def2-TZVPD.

For the HOMO energy (alpha / beta), the calculation gives -8.007 / -8.006 eV. The spin multiplicity is 1. The value obtained for the orbital gap (alpha / beta) is 8.138 / 8.138 eV.

CARTESIAN COORDINATES (ANGSTROEM)
O (1.92715, -1.60513, -1.12006)
C (0.92241, -1.03257, -0.99390)
C (0.14158, 1.09748, -1.00233)
C (0.27016, 0.72964, 0.33112)
C (-1.20237, -0.48795, 0.83382)
C (0.16217, -0.71670, 0.58169)
H (0.47595, 2.08304, -1.31860)
H (-0.62331, 0.65653, -1.63262)
H (0.72418, 1.36038, 1.08676)
H (-1.86855, -0.13074, 0.06090)
H (-1.65755, -0.77525, 1.78112)
H (0.72817, -1.17874, 1.39210)

Forces on the atoms, in the same order (eV/Å):
-0.8 0.5 0.1
0.8 -0.7 -0.3
-0.1 0.1 0.1
0.2 0.2 -0.2
-0.1 -0.1 0.0
-0.2 0.1 0.3
0.0 -0.1 0.0
0.2 0.0 0.1
0.0 -0.1 -0.1
0.1 0.0 0.1
0.1 0.0 -0.2
0.0 0.1 -0.1

Atom-resolved charges from Mulliken, all expressed in e: O -0.33; C 0.16; C -0.95; C -0.05; C -0.77; C 0.12; H 0.30; H 0.29; H 0.35; H 0.25; H 0.27; H 0.35

2.
This record from OMol25 describes one molecule with the formula C5H14Si3. The level of theory is ωB97M-V/def2-TZVPD.

As for the SMILES: C#C[Si@H]([SiH3])[Si](C)(C)C. For the HOMO energy, the calculation gives -9.310 eV. The spin multiplicity is 1. The value obtained for the orbital gap is 9.859 eV.

CARTESIAN COORDINATES (ANGSTROEM)
C (2.69472, -2.53339, 0.30557)
C (1.98847, -1.65624, -0.06088)
C (-1.57141, 1.60028, -0.37359)
C (-1.43236, -0.46932, 1.86836)
C (-1.90886, -1.28996, -1.14289)
Si (2.63720, 1.70477, 0.13653)
Si (1.23410, -0.02318, -0.66468)
Si (-0.93554, -0.15237, 0.04476)
H (3.14294, -3.45521, 0.56687)
H (-1.30711, 2.22393, 0.34732)
H (-1.01037, 1.95393, -1.33150)
H (-2.58086, 1.70227, -0.51780)
H (-0.83215, -1.38363, 2.22585)
H (-1.01456, 0.29463, 2.47346)
H (-2.45347, -0.50437, 1.89305)
H (-3.00775, -1.05801, -1.19192)
H (-1.66308, -1.09854, -2.13400)
H (-1.82502, -2.39218, -0.76989)
H (2.17768, 2.38920, 1.22736)
H (2.60698, 2.64712, -1.01074)
H (4.14253, 1.22815, 0.45923)
H (0.91791, 0.27212, -2.35048)

Forces on the atoms, in the same order (eV/Å):
0.8 -2.1 0.6
-1.2 3.1 -1.8
2.7 -2.5 -4.1
4.6 -1.7 -1.2
-1.3 -1.5 2.8
2.2 -1.7 -2.1
0.1 -0.6 -1.1
-2.1 0.9 -0.1
0.4 -0.1 0.2
1.3 3.0 3.3
-1.1 -0.5 1.4
-2.6 0.0 -0.5
-1.5 0.8 -0.4
0.0 1.1 0.6
-2.6 -0.5 0.5
0.8 -0.1 0.8
1.2 -0.3 -1.9
0.0 1.8 -1.2
-1.0 1.1 2.1
0.2 0.1 0.1
-1.7 0.5 -0.5
0.8 -0.8 2.4

Atom-resolved charges from Mulliken, all expressed in e: C 0.66; C -1.25; C -1.26; C -1.10; C -1.10; Si 0.40; Si 0.13; Si 0.39; H 0.46; H 0.42; H 0.25; H 0.44; H 0.28; H 0.36; H 0.36; H 0.34; H 0.40; H 0.23; H -0.17; H -0.13; H -0.07; H -0.06

3.
This record from OMol25 describes C27H46AuBN7O as an isolated structure. The level of theory is ωB97M-V/def2-TZVPD.

As for the charge: +1. For the HOMO energy, the calculation gives -10.955 eV. The spin multiplicity is 1. The value obtained for the orbital gap is 7.657 eV.

CARTESIAN COORDINATES (ANGSTROEM)
Au (0.10669, 0.05017, -1.00171)
C (1.31200, 1.05364, 4.20941)
C (1.66245, 0.55999, 2.84723)
C (2.86738, 0.06566, 2.38593)
C (2.65613, -0.29266, 1.05174)
N (1.39241, -0.00134, 0.72996)
N (0.78350, 0.51998, 1.83281)
B (-0.69411, 0.97301, 1.84423)
N (-1.65166, -0.21358, 1.69240)
N (-1.24842, -1.35065, 1.04308)
C (-2.13048, -2.29070, 1.34569)
C (-3.13323, -1.76558, 2.18720)
C (-2.78359, -0.45758, 2.40131)
C (-3.47453, 0.55943, 3.24468)
C (-2.02093, -3.72584, 0.88003)
C (-2.47465, -4.65491, 2.01395)
C (-2.93242, -3.93408, -0.33682)
C (-0.57963, -4.08634, 0.52784)
N (-0.83757, 2.05791, 0.69493)
N (-0.13951, 1.96789, -0.47350)
C (-0.26079, 3.12859, -1.14908)
C (-1.04105, 3.97721, -0.37718)
C (-1.37072, 3.28091, 0.77768)
C (-2.14084, 3.78497, 1.94823)
C (0.48241, 3.52305, -2.41065)
C (1.32704, 4.76163, -2.05999)
C (1.44258, 2.45122, -2.91603)
C (-0.51545, 3.91061, -3.50807)
C (3.64315, -0.93230, 0.09986)
C (3.19339, -2.35882, -0.23352)
C (3.75862, -0.10847, -1.18595)
____________

== Wanted ==
Please transcribe the rows further above exactly.

== Here it is ==
1.
This record from OMol25 describes C5H6O as an isolated structure. The level of theory is ωB97M-V/def2-TZVPD.

For the HOMO energy (alpha / beta), the calculation gives -8.007 / -8.006 eV. The spin multiplicity is 1. The value obtained for the orbital gap (alpha / beta) is 8.138 / 8.138 eV.

CARTESIAN COORDINATES (ANGSTROEM)
O (1.92715, -1.60513, -1.12006)
C (0.92241, -1.03257, -0.99390)
C (0.14158, 1.09748, -1.00233)
C (0.27016, 0.72964, 0.33112)
C (-1.20237, -0.48795, 0.83382)
C (0.16217, -0.71670, 0.58169)
H (0.47595, 2.08304, -1.31860)
H (-0.62331, 0.65653, -1.63262)
H (0.72418, 1.36038, 1.08676)
H (-1.86855, -0.13074, 0.06090)
H (-1.65755, -0.77525, 1.78112)
H (0.72817, -1.17874, 1.39210)

Forces on the atoms, in the same order (eV/Å):
-0.8 0.5 0.1
0.8 -0.7 -0.3
-0.1 0.1 0.1
0.2 0.2 -0.2
-0.1 -0.1 0.0
-0.2 0.1 0.3
0.0 -0.1 0.0
0.2 0.0 0.1
0.0 -0.1 -0.1
0.1 0.0 0.1
0.1 0.0 -0.2
0.0 0.1 -0.1

Atom-resolved charges from Mulliken, all expressed in e: O -0.33; C 0.16; C -0.95; C -0.05; C -0.77; C 0.12; H 0.30; H 0.29; H 0.35; H 0.25; H 0.27; H 0.35

2.
This record from OMol25 describes one molecule with the formula C5H14Si3. The level of theory is ωB97M-V/def2-TZVPD.

As for the SMILES: C#C[Si@H]([SiH3])[Si](C)(C)C. For the HOMO energy, the calculation gives -9.310 eV. The spin multiplicity is 1. The value obtained for the orbital gap is 9.859 eV.

CARTESIAN COORDINATES (ANGSTROEM)
C (2.69472, -2.53339, 0.30557)
C (1.98847, -1.65624, -0.06088)
C (-1.57141, 1.60028, -0.37359)
C (-1.43236, -0.46932, 1.86836)
C (-1.90886, -1.28996, -1.14289)
Si (2.63720, 1.70477, 0.13653)
Si (1.23410, -0.02318, -0.66468)
Si (-0.93554, -0.15237, 0.04476)
H (3.14294, -3.45521, 0.56687)
H (-1.30711, 2.22393, 0.34732)
H (-1.01037, 1.95393, -1.33150)
H (-2.58086, 1.70227, -0.51780)
H (-0.83215, -1.38363, 2.22585)
H (-1.01456, 0.29463, 2.47346)
H (-2.45347, -0.50437, 1.89305)
H (-3.00775, -1.05801, -1.19192)
H (-1.66308, -1.09854, -2.13400)
H (-1.82502, -2.39218, -0.76989)
H (2.17768, 2.38920, 1.22736)
H (2.60698, 2.64712, -1.01074)
H (4.14253, 1.22815, 0.45923)
H (0.91791, 0.27212, -2.35048)

Forces on the atoms, in the same order (eV/Å):
0.8 -2.1 0.6
-1.2 3.1 -1.8
2.7 -2.5 -4.1
4.6 -1.7 -1.2
-1.3 -1.5 2.8
2.2 -1.7 -2.1
0.1 -0.6 -1.1
-2.1 0.9 -0.1
0.4 -0.1 0.2
1.3 3.0 3.3
-1.1 -0.5 1.4
-2.6 0.0 -0.5
-1.5 0.8 -0.4
0.0 1.1 0.6
-2.6 -0.5 0.5
0.8 -0.1 0.8
1.2 -0.3 -1.9
0.0 1.8 -1.2
-1.0 1.1 2.1
0.2 0.1 0.1
-1.7 0.5 -0.5
0.8 -0.8 2.4

Atom-resolved charges from Mulliken, all expressed in e: C 0.66; C -1.25; C -1.26; C -1.10; C -1.10; Si 0.40; Si 0.13; Si 0.39; H 0.46; H 0.42; H 0.25; H 0.44; H 0.28; H 0.36; H 0.36; H 0.34; H 0.40; H 0.23; H -0.17; H -0.13; H -0.07; H -0.06

3.
This record from OMol25 describes C27H46AuBN7O as an isolated structure. The level of theory is ωB97M-V/def2-TZVPD.

As for the charge: +1. For the HOMO energy, the calculation gives -10.955 eV. The spin multiplicity is 1. The value obtained for the orbital gap is 7.657 eV.

CARTESIAN COORDINATES (ANGSTROEM)
Au (0.10669, 0.05017, -1.00171)
C (1.31200, 1.05364, 4.20941)
C (1.66245, 0.55999, 2.84723)
C (2.86738, 0.06566, 2.38593)
C (2.65613, -0.29266, 1.05174)
N (1.39241, -0.00134, 0.72996)
N (0.78350, 0.51998, 1.83281)
B (-0.69411, 0.97301, 1.84423)
N (-1.65166, -0.21358, 1.69240)
N (-1.24842, -1.35065, 1.04308)
C (-2.13048, -2.29070, 1.34569)
C (-3.13323, -1.76558, 2.18720)
C (-2.78359, -0.45758, 2.40131)
C (-3.47453, 0.55943, 3.24468)
C (-2.02093, -3.72584, 0.88003)
C (-2.47465, -4.65491, 2.01395)
C (-2.93242, -3.93408, -0.33682)
C (-0.57963, -4.08634, 0.52784)
N (-0.83757, 2.05791, 0.69493)
N (-0.13951, 1.96789, -0.47350)
C (-0.26079, 3.12859, -1.14908)
C (-1.04105, 3.97721, -0.37718)
C (-1.37072, 3.28091, 0.77768)
C (-2.14084, 3.78497, 1.94823)
C (0.48241, 3.52305, -2.41065)
C (1.32704, 4.76163, -2.05999)
C (1.44258, 2.45122, -2.91603)
C (-0.51545, 3.91061, -3.50807)
C (3.64315, -0.93230, 0.09986)
C (3.19339, -2.35882, -0.23352)
C (3.75862, -0.10847, -1.18595)